The University of Wisconsin–Madison’s Department of English welcomed four new faculty members this fall who arrived for an important purpose: to study and teach global Black literatures.
The department announced last December that its board of visitors had committed to fundraise $150,000 over five years to help create multiple faculty positions and “form a center of research and teaching excellence in Global Black Literatures.” This field includes African American literature, Black British literature, and Caribbean and Black diasporic literatures, according to an announcement posted on the department’s website.
The resulting fundraising push by the department, alumni, and other UW entities ultimately led to the “cluster hire” of four assistant professors — all with unique research interests and expertise in areas of global Black literatures.
Laila Amine, a native of France, comes to the UW from the University of North Texas. Amine specializes in 20th- and 21st-century African American and African diaspora studies with a focus on race, migration, and colonial legacies. Her book, Postcolonial Paris: Fictions of Intimacy in the City of Light, was published in 2018 by the University of Wisconsin Press. (“I had that contract before I applied for the job,” she says with a laugh. “It's just pure coincidence.”)
Ainehi Edoro came to the United States from Nigeria to pursue her undergraduate studies and went on to earn a doctorate from Duke. Most recently she was a professor at Marquette University in Milwaukee. Edoro specializes in global anglophone literatures, 21st-century fiction, and literature in digital and social media; her current book project explores the history of form and aesthetics in the African novel.
[Crystal structures that have nothing to do with the page]
********
# 1
The following is a calculated X-ray powder pattern of Tl2In5Pb3. It was derived from DFT lattice parameters and positions (PBE), using Cu Kα (weighted mean of Kα1 and Kα2).
Kinematic intensities with the Lorentz-polarization factor, no thermal factor.

Largest 10 diffraction maxima, sorted by position, 2θ from 10° to 80°:
(hkl), two_theta, I (rel.)
0 2 -3, 31.6, 100
1 -3 0, 31.7, 50
-3 1 2, 31.9, 49
-1 1 3, 35.5, 37
2 2 -2, 36.3, 35
3 -3 1, 38.5, 30
1 3 1, 51.5, 13
3 1 -5, 51.7, 13
1 1 -6, 61.2, 15
2 4 -5, 62.3, 14

Crystal structure
```
data_Tl2In5Pb3
_space_group_name_H-M_alt 'P -1'
_space_group_IT_number 2
_space_group_name_Hall '-P 1'
_cell_length_a 8.912
_cell_length_b 8.952
_cell_length_c 9.370
_cell_angle_alpha 105.35
_cell_angle_beta 108.67
_cell_angle_gamma 112.63
loop_
_atom_site_label
_atom_site_type_symbol
_atom_site_fract_x
_atom_site_fract_y
_atom_site_fract_z
Tl1 Tl 0.078 0.022 0.352
Tl2 Tl 0.320 0.769 0.844
In1 In 0.021 0.673 0.447
In2 In 0.166 0.717 0.143
In3 In 0.275 0.426 0.952
In4 In 0.423 0.476 0.648
In5 In 0.470 0.823 0.545
Pb1 Pb 0.132 0.382 0.257
Pb2 Pb 0.229 0.078 0.056
Pb3 Pb 0.384 0.134 0.754
```

# 2
The following is a calculated X-ray powder pattern of Tl2In4Pb. It was derived from DFT lattice parameters and positions (PBE), using Cu Kα (weighted mean of Kα1 and Kα2).
Kinematic intensities with the Lorentz-polarization factor, no thermal factor.

Largest 10 diffraction maxima, sorted by position, 2θ from 10° to 80°:
(hkl), two_theta, I (rel.)
1 1 -1, 29.2, 24
4 0 1, 30.8, 57
3 1 -1, 31.8, 44
6 0 -2, 33.0, 100
1 1 -2, 35.2, 22
3 1 1, 37.3, 20
5 1 -1, 38.1, 15
1 1 2, 38.7, 23
4 2 1, 65.0, 21
6 2 -2, 66.3, 27

Crystal structure
```
data_Tl2In4Pb
_space_group_name_H-M_alt 'C 1 2/m 1'
_space_group_IT_number 12
_space_group_name_Hall '-C 2y'
_cell_length_a 16.892
_cell_length_b 3.298
_cell_length_c 8.213
_cell_angle_alpha 90.00
_cell_angle_beta 115.76
_cell_angle_gamma 90.00
loop_
_atom_site_label
_atom_site_type_symbol
_atom_site_fract_x
_atom_site_fract_y
_atom_site_fract_z
Tl1 Tl 0.224 0.000 0.160
In1 In 0.076 0.000 0.701
In2 In 0.131 0.500 0.405
Pb1 Pb 0.000 0.000 0.000
```

# 3
The following is a calculated X-ray powder pattern of Tl12In6Pb. It was derived from DFT lattice parameters and positions (PBE), using Cu Kα (weighted mean of Kα1 and Kα2).
Kinematic intensities with the Lorentz-polarization factor, no thermal factor.

Largest 10 diffraction maxima, sorted by position, 2θ from 10° to 80°:
(hkl), two_theta, I (rel.)
2 1 1, 23.8, 18
0 1 5, 31.9, 36
0 3 3, 32.1, 100
3 -1 4, 33.8, 42
3 1 2, 33.9, 40
2 2 3, 35.6, 15
6 -2 2, 48.7, 12
1 2 8, 55.7, 11
5 -4 6, 55.9, 13
5 2 3, 59.5, 13

Crystal structure
```
data_Tl12In6Pb
_space_group_name_H-M_alt 'R -3'
_space_group_IT_number 148
_space_group_name_Hall '-R 3'
_cell_length_a 11.8122
_cell_length_b 11.8122
_cell_length_c 14.5870
_cell_angle_alpha 90.00
_cell_angle_beta 90.00
_cell_angle_gamma 120.00
loop_
_atom_site_label
_atom_site_type_symbol
_atom_site_fract_x
********
[End of the crystal structures]
Yanie Fecu joins the faculty at the UW after completing her doctoral degree at Princeton University. She specializes in 20th- and 21st-century anglophone and francophone Caribbean literature, with particular interests in auditory culture, postcolonial theory, and history of science.
Kristina Huang comes to the UW after earning her doctorate at the Graduate Center of the City University of New York and a postdoc at Reed College in Portland, Oregon. Her research focuses on the transmission of texts in the Black Atlantic world as an avenue for relocating forms of political solidarity and community among diasporic subjects in the Caribbean and the Americas.
Why the UW?
Amine, Edoro, Fecu, and Huang say they were attracted to these positions at least in part because of the nature of the UW and its commitment to studying diverse cultures — including the very existence of an African American studies department, which may not be as common as you might think among major universities.
“Just the idea that there is a degree-granting department for the African archive, to me, is amazing, and it’s not something that I know is offered in any other parts of the world,” Edoro says. “How many degree-granting departments on African literature are there? I don’t even know that African institutions have a degree-granting department for African cultural stuff. That, to me, was a huge draw.”
Amine says being hired as part of a team was also part of the attraction — especially one that is meant to look beyond the shores of the United States.
“They were looking for several scholars, and it was a commitment to look beyond the nation,” she says. “We’re not in the same area of study, but the transnational commitment is there.”
Edoro notes that hiring more than one faculty member helps to achieve the transnational reach.
“There’s a way that the concept of the cluster hire just produces diversity of interest and focus that becomes more difficult when you can only hire one person,” she says.
For Huang, the size and reputation of the university were also important factors, especially after spending some time at a small liberal arts college.
“One of the things that drew me to UW was the fact that it’s a public university. I’m very excited about that,” she says. “I come from a public university system. I spent over 10 years as a teacher and a student at the City University of New York, and then I spent a year at a small liberal arts college, which was really nice.”
Coalesce to Collaborate
Although the English department has hired these four scholars to teach, research, and work together, Russ Castronovo, English department chair, says that the department has not given the new faculty members a specific directive.
“But I would say that [the university has made a] concerted effort to hire innovatively and creatively across these fields,” Castronovo adds. “The idea of hiring a cohort is also wrapped up in the idea to address issues of climate, diversity, inclusion, outreach, and mentoring. You can't isolate faculty. Instead you need to bring them together. That's part of this push.”
Amine explains how she sees the new hires moving ahead.
# Unrelated to this entry: materials data
(1)
This entry pairs a crystal structure of Na4VHO5 with its computed X-ray diffraction stick pattern. Radiation: copper Kα. Structure: a crystal structure in Alexandria, relaxed with PBE+U.
Neutral-atom scattering factors, no anomalous dispersion.

Top 6 peaks for 10° ≤ 2θ ≤ 90°, low angle first:
hkl 1 1 1, 2θ = 18.6°, d 4.781, I = 38.3; hkl 2 1 0, 2θ = 22.8°, d 3.899, I = 32.7; hkl 2 2 1, 2θ = 32.6°, d 2.746, I = 41.3; hkl 1 2 2, 2θ = 33.4°, d 2.683, I = 100.0; hkl 4 0 0, 2θ = 39.6°, d 2.277, I = 38.1; hkl 4 0 2, 2θ = 45.3°, d 2.002, I = 36.7

Structural model:
```
data_Na4VHO5
_chemical_formula_sum 'Na16 V4 H4 O20'
_cell_length_a 9.1066
_cell_length_b 7.5460
_cell_length_c 8.4132
_cell_angle_alpha 90.00
_cell_angle_beta 90.00
_cell_angle_gamma 90.00
_symmetry_space_group_name_H-M 'P n m a'
_symmetry_Int_Tables_number 62
_symmetry_space_group_name_Hall '-P 2ac 2n'
loop_
_atom_site_label
_atom_site_fract_x
_atom_site_fract_y
_atom_site_fract_z
Na1 0.0000 0.0000 0.0000
Na2 0.1272 0.2500 0.2580
Na3 0.1285 0.5135 0.6526
V1 0.1372 0.7500 0.3501
H1 0.1671 0.7500 0.9458
O1 0.0164 0.2500 0.5228
O2 0.1177 0.7500 0.8430
O3 0.1297 0.5597 0.2325
O4 0.2069 0.2500 0.9688
```

=====

(2)
This entry pairs a crystal structure of Na3V3H6O7 with its computed X-ray diffraction stick pattern. Radiation: copper Kα. Structure: a crystal structure in Alexandria, relaxed with PBE+U.
Neutral-atom scattering factors, no anomalous dispersion.

Top 6 peaks for 10° ≤ 2θ ≤ 90°, low angle first:
hkl 0 0 1, 2θ = 11.3°, d 7.848, I = 68.5; hkl 1 0 0, 2θ = 16.6°, d 5.338, I = 75.1; hkl 1 0 -1, 2θ = 17.6°, d 5.036, I = 100.0; hkl -1 1 1, 2θ = 22.5°, d 3.959, I = 47.5; hkl 1 1 -1, 2θ = 23.7°, d 3.755, I = 37.5; hkl 1 0 2, 2θ = 31.5°, d 2.841, I = 39.5

Structural model:
```
data_Na3V3H6O7
_chemical_formula_sum 'Na3 V3 H6 O7'
_cell_length_a 5.6278
_cell_length_b 6.4083
_cell_length_c 8.3764
_cell_angle_alpha 104.65
_cell_angle_beta 100.67
_cell_angle_gamma 101.66
_symmetry_space_group_name_H-M 'P 1'
_symmetry_Int_Tables_number 1
_symmetry_space_group_name_Hall 'P 1'
loop_
_atom_site_label
_atom_site_fract_x
_atom_site_fract_y
_atom_site_fract_z
Na1 0.0000 0.0000 0.0000
Na2 0.1511 0.3688 0.3986
Na3 0.6499 0.2915 0.7311
V1 0.5359 0.8681 0.2395
V2 0.6325 0.3616 0.2195
V3 0.7343 0.7146 0.5373
H1 0.1381 0.2466 0.7753
H2 0.1580 0.4543 0.9363
H3 0.2396 0.0381 0.5472
H4 0.3899 0.7685 0.9205
H5 0.9058 0.0927 0.5331
H6 0.9774 0.6611 0.8138
O1 0.0685 0.2919 0.8792
O2 0.2234 0.1882 0.5973
O3 0.2823 0.7446 0.9967
O4 0.4708 0.5795 0.3090
O5 0.7231 0.0103 0.5084
O6 0.7518 0.1147 0.1795
O7 0.8094 0.6737 0.7633
```

=====

(3)
This entry pairs a crystal structure of Na2H2WO6 with its computed X-ray diffraction stick pattern. Radiation: copper Kα. Structure: a crystal structure in Alexandria, relaxed with PBE+U.
Neutral-atom scattering factors, no anomalous dispersion.

Top 6 peaks for 10° ≤ 2θ ≤ 90°, low angle first:
“I think they’re going to encourage us to collaborate in ways that we see fit,” she says. “I think that that’s what’s really exciting about this cohort hiring is that we’re still getting to know each other and we’re still learning about what our investments are and what we would like to do, what kinds of projects we’d like to pursue in the future, and I’m sure they’re going to coalesce in different points in different times during our time here into different kinds of collaborations.”
Edoro notes that room for collaboration and creativity benefits the work the new faculty members are set out to accomplish.
“I think [this cluster hire] is very much based on an exciting definition of what ‘global’ and ‘Blackness’ and ‘literature’ means,” Edoro says. “For me that is part of the resonance is considering what has been happening today with Black Lives Matter and conversations like that. Our work is so different, in terms of peers, in terms of the problems [we’re working on], in terms of archives, but it shows a certain commitment to the fact that what constitutes Blackness as a global category in relationship to literature is diverse, and that the university is invested in that.”
Huang adds that she hopes to create a connection with the community.
“I really love the fact that this university is kind of the lifeblood of the city, the capital,” she says. “That’s really exciting to me. And I really love the outward-facing programs that they have here. I’m very much thinking about, how does the university participate in the public life of people in Wisconsin? I would like to think that in the coming years, I will push that and continually push towards that mission. ”